• Data:
+++
1.
DFT (GGA-PBE) results for an optimized crystal structure of LuTcHg.

a b c (Å): 4.667 4.667 4.667
angles (deg): 60.00 60.00 60.00
Fractional positions:
Hg 0.250 0.250 0.250
Tc 0.750 0.750 0.750
Lu 0.000 0.000 0.000

Values from the calculation:
E_tot, Ha/atom: -0.1543
Total moment, μB per cell: 1.67
Polymorph energy (0 for the lowest one), eV/atom: 0.2830

---

2.
DFT (GGA-PBE) results for an optimized crystal structure of NpBr.

a b c (Å): 4.680 4.680 4.680
angles (deg): 60.00 60.00 60.00
Last column: magnetic moment on the atom in μB.
Fractional positions:
Np 0.250 0.250 0.250  4.77
Br 0.000 0.000 0.000  0.01

Values from the calculation:
E_tot, Ha/atom: -0.2619
Total moment, μB per cell: 5.86

---

3.
DFT (GGA-PBE) results for an optimized crystal structure of Tl4Pt.

a b c (Å): 6.612 6.890 6.890
angles (deg): 57.66 90.00 90.00
Fractional positions:
Tl 0.676 0.302 0.962
Tl 0.676 0.705 0.045
Tl 0.176 0.462 0.802
Tl 0.176 0.545 0.205
Tl 0.824 0.802 0.462
Tl 0.824 0.205 0.545
Tl 0.324 0.045 0.705
Tl 0.324 0.962 0.302
Pt 0.500 0.503 0.503
Pt 0.000 0.003 0.003

Values from the calculation:
E_tot, Ha/atom: -0.1144
Total moment, μB per cell: 0.01

----------

# TlS2N2

A relaxed TlS2N2 crystal (PBE, the Alexandria database).

Calculated values
* symmetry: P4/mmm (123)
* offset from the most stable computed form: 1.882 eV/atom
* calculated volume: 26.5 Å³ per atom
* magnetization: 7.1 Bohr magnetons per cell

Lattice parameters (Å, degrees): 5.3450 5.3450 4.6416 90.00 90.00 90.00
Last column: nearest neighbours and their distance in Å.
Fractional coordinates of all 5 atoms:
1 Tl 0.0000 0.0000 0.0000  2 N 2.32
2 S 0.0000 0.5000 0.0000  2 Tl 2.67
3 S 0.5000 0.0000 0.0000  2 Tl 2.67
4 N 0.0000 0.0000 0.5000  2 Tl 2.32
5 N 0.5000 0.5000 0.5000  8 S 3.54, 4 N 3.78

=====

# TlSN2

A relaxed TlSN2 crystal (PBE, the Alexandria database).

Calculated values
* symmetry: R-3m (166)
* offset from the most stable computed form: 0.359 eV/atom
* calculated volume: 13.7 Å³ per atom
* magnetization: 0.0 Bohr magnetons per cell

Lattice parameters (Å, degrees): 7.6496 7.6496 7.6496 21.98 21.98 21.98
Last column: nearest neighbours and their distance in Å.
Fractional coordinates of all 4 atoms:
1 Tl 0.0000 0.0000 0.0000  2 N 2.75, 6 Tl 2.92
2 S 0.5000 0.5000 0.5000  6 N 1.95
3 N 0.1226 0.1226 0.1226  3 S 1.95
4 N 0.8774 0.8774 0.8774  3 S 1.95

=====

# Tl3SN

A relaxed Tl3SN crystal (PBE, the Alexandria database).
+++

• Job:
Your job: filter the notes further above: keep the lines with the word "Tl3SN".

• Here it is:
# Tl3SN
A relaxed Tl3SN crystal (PBE, the Alexandria database).